+++
Record 1
Below is crystalline PrTeAsO6 at its relaxed geometry, with properties calculated at the PBE level.

**Total moment**: 0.002 μB/f.u.
**Space-group type**: No. 163
**Total energy**: -6.367 eV/atom

Lattice parameters (Å, degrees): 5.3879 5.3879 9.9998 90.00 90.00 120.00
Last column: nearest neighbours and their distance in Å.
Fractional coordinates of all 18 atoms:
O  0.3777  0.0281  0.1396  1 Te 1.95, 1 As 2.15
O  0.9719  0.6223  0.3604  1 Te 1.95, 1 As 2.15
O  0.6504  0.0281  0.3604  1 Te 1.95, 1 As 2.15
O  0.9719  0.3496  0.1396  1 Te 1.95, 1 As 2.15
O  0.6223  0.6504  0.6396  1 Te 1.95, 1 As 2.15
O  0.6504  0.6223  0.1396  1 Te 1.95, 1 As 2.15
O  0.0281  0.3777  0.6396  1 Te 1.95, 1 As 2.15
O  0.3496  0.9719  0.6396  1 Te 1.95, 1 As 2.15
O  0.3777  0.3496  0.3604  1 Te 1.95, 1 As 2.15
O  0.3496  0.3777  0.8604  1 Te 1.95, 1 As 2.15
O  0.0281  0.6504  0.8604  1 Te 1.95, 1 As 2.15
O  0.6223  0.9719  0.8604  1 Te 1.95, 1 As 2.15
Pr  0.0000  0.0000  0.5000  6 O 2.41
Pr  0.0000  0.0000  0.0000  6 O 2.41
Te  0.6667  0.3333  0.2500  6 O 1.95
Te  0.3333  0.6667  0.7500  6 O 1.95
As  0.6667  0.3333  0.7500  6 O 2.15
As  0.3333  0.6667  0.2500  6 O 2.15

---

Record 2
Below is crystalline LuTcNiB at its relaxed geometry, with properties calculated at the PBE level.

**Total moment**: 0.072 μB/f.u.
**Space-group type**: No. 216
**Polymorph energy (0 for the lowest one)**: 0.253 eV per atom

Lattice parameters (Å, degrees): 4.2368 4.2368 4.2368 60.00 60.00 60.00
Last column: nearest neighbours and their distance in Å.
Fractional coordinates of all 4 atoms:
Ni  0.7500  0.7500  0.7500  4 Lu 2.59, 4 B 2.59
Tc  0.2500  0.2500  0.2500  4 B 2.59, 4 Lu 2.59
Lu  0.5000  0.5000  0.5000  4 Ni 2.59, 4 Tc 2.59
B  0.0000  0.0000  0.0000  4 Tc 2.59, 4 Ni 2.59

---

Record 3
Below is crystalline Dy2ErGa4Pd at its relaxed geometry, with properties calculated at the PBE level.

**Total moment**: 0.010 μB/f.u.
**Space-group type**: No. 38
**Total energy**: -4.462 eV/atom

Lattice parameters (Å, degrees): 6.6074 7.0785 7.0785 31.07 90.00 90.00
Last column: nearest neighbours and their distance in Å.
Fractional coordinates of all 8 atoms:
Ga  0.7669  0.0959  0.0959  1 Ga 2.64, 2 Pd 2.71, 1 Dy 2.91
Ga  0.2331  0.0959  0.0959  1 Ga 2.64, 2 Pd 2.71, 1 Dy 2.91
Ga  0.6905  0.9061  0.9061  2 Ga 2.52-2.64
Ga  0.3095  0.9061  0.9061  2 Ga 2.52-2.64
Er  0.0000  0.4599  0.4599  8 Ga 2.88-3.07
Dy  0.0000  0.7323  0.7323  6 Ga 3.07-3.13
Dy  0.5000  0.2657  0.2657  6 Ga 2.91-2.97
Pd  0.5000  0.5380  0.5380  8 Ga 2.71-2.90

---

Record 4
Below is crystalline LaSmAu2 at its relaxed geometry, with properties calculated at the PBE level.

**Total moment**: 0.014 μB/f.u.
**Space-group type**: No. 26
**E_form**: -0.8311 eV/atom

Lattice parameters (Å, degrees): 4.8220 5.8836 7.4553 90.00 90.00 90.00
Last column: nearest neighbours and their distance in Å.
Fractional coordinates of all 8 atoms:
Sm  0.5000  0.1074  0.8154  7 Au 3.10-3.19
Sm  0.5000  0.8926  0.3154  7 Au 3.10-3.19
Au  0.5000  0.3986  0.4586  2 Au 3.05, 3 Sm 3.10-3.16, 4 La 3.16-3.19
Au  0.0000  0.9005  0.0425  2 Au 3.05, 3 La 3.07-3.18, 4 Sm 3.16-3.19
Au  0.5000  0.6014  0.9586  2 Au 3.05, 3 Sm 3.10-3.16, 4 La 3.16-3.19
Au  0.0000  0.0995  0.5425  2 Au 3.05, 3 La 3.07-3.18, 4 Sm 3.16-3.19
La  0.0000  0.6091  0.6836  7 Au 3.07-3.19
La  0.0000  0.3909  0.1836  7 Au 3.07-3.19

=====

# 1
A geometry-optimized AcBiSe3 structure, computed with PBE-GGA.

Structure (POSCAR):
```
AcBiSe3
1.0
8.701 0.000 0.000
0.000 4.303 0.000
0.000 0.000 15.835
Ac Bi Se
4 4 12
Cartesian
1.188 1.076 3.082 Ac
3.163 3.227 11.000 Ac
5.538 1.076 4.835 Ac
7.513 3.227 12.753 Ac
1.688 3.227 7.179 Bi
2.662 1.076 15.097 Bi
6.039 3.227 0.738 Bi
7.013 1.076 8.656 Bi
8.698 1.076 6.125 Se
0.003 3.227 9.710 Se
1.252 3.227 0.799 Se
1.319 1.076 12.482 Se
3.032 3.227 4.565 Se
3.099 1.076 8.716 Se
4.348 1.076 1.793 Se
4.354 3.227 14.042 Se
5.602 3.227 7.119 Se
5.669 1.076 11.270 Se
7.383 3.227 3.353 Se
7.450 1.076 15.036 Se
```

## Properties
+++

Now give back every line further above that contains the word "PBE".

Below is crystalline PrTeAsO6 at its relaxed geometry, with properties calculated at the PBE level.
Below is crystalline LuTcNiB at its relaxed geometry, with properties calculated at the PBE level.
Below is crystalline Dy2ErGa4Pd at its relaxed geometry, with properties calculated at the PBE level.
Below is crystalline LaSmAu2 at its relaxed geometry, with properties calculated at the PBE level.